The truth of that would hit me soon. I would rage and cry and mourn having let down my sister. I wanted it to come, because I hated what I felt right then.
“What now?” I whispered to my namesake. “How do I find one rotten, evil Royal in a sea of spoiled garbage?
“How did you find them Winter? I know you minded your business, were kind to everyone you came across, and didn’t get sucked into drama. Still, you found out something that scared the Phantom. What could it have been? Regalia is full of secrets that people would kill to keep. How do I find the one that took you?”
My phone vibrated against my hip. I sighed in irritation. I’d been getting calls from a blocked number non-stop for hours. Ever since it went wide that I was selling Saylor’s texts, people have been stopping me and asking how I did it and if there were more. These requests came with an obscene price tag.
For those who couldn’t roam around campus searching for me, they tracked down my number instead. It was disturbing how many middle-aged men begged me to get them access to a college girl’s text messages.
My phone went off again.
“Ugh. Give it a rest.”
If only Wilder was here. He’d know how to stop—
+++
Entry 1:
This entry pairs a crystal structure of Tl2Mo3Ir2 with its theoretical powder diffractogram. Radiation: Cu Kα, 1.54184 Å. Structure: a GGA-PBE-relaxed structure.

Cell: 7.5461 7.5461 7.5461 Å, 34.54 34.54 34.54°
Fractional positions:
Tl 0.0000 0.0000 0.0000
Tl 0.4309 0.4309 0.4309
Mo 0.2789 0.2789 0.2789
Mo 0.5712 0.5712 0.5712
Mo 0.8571 0.8571 0.8571
Ir 0.1607 0.1607 0.1607
Ir 0.7028 0.7028 0.7028

Top 8 peaks for 10° ≤ 2θ ≤ 90°, by angle:
2θ = 28.48°, rel. 22; 2θ = 37.60°, rel. 100; 2θ = 40.26°, rel. 97; 2θ = 56.26°, rel. 31; 2θ = 66.06°, rel. 16; 2θ = 71.42°, rel. 31; 2θ = 73.17°, rel. 17; 2θ = 86.98°, rel. 11


Entry 2:
This entry pairs a crystal structure of PrNdIn4Ir2 with its theoretical powder diffractogram. Radiation: Cu Kα, 1.54184 Å. Structure: a GGA-PBE-relaxed structure.

Cell: 8.0347 4.4342 10.4082 Å, 90.00 90.00 90.00°
Fractional positions:
Pr 0.0000 0.0000 0.0000
Pr 0.0000 0.5000 0.5000
Nd 0.5000 0.0000 0.8606
Nd 0.5000 0.5000 0.3606
In 0.1995 0.0000 0.2856
In 0.1995 0.5000 0.7856
In 0.3019 0.0000 0.5754
In 0.3019 0.5000 0.0754
In 0.6981 0.0000 0.5754
In 0.6981 0.5000 0.0754
In 0.8005 0.0000 0.2856
In 0.8005 0.5000 0.7856
Ir 0.0000 0.0000 0.7126
Ir 0.0000 0.5000 0.2126
Ir 0.5000 0.0000 0.1483
Ir 0.5000 0.5000 0.6483

Top 8 peaks for 10° ≤ 2θ ≤ 90°, by angle:
2θ = 17.04°, rel. 26; 2θ = 31.25°, rel. 100; 2θ = 34.68°, rel. 99; 2θ = 36.29°, rel. 41; 2θ = 39.90°, rel. 38; 2θ = 40.28°, rel. 48; 2θ = 40.70°, rel. 49; 2θ = 55.65°, rel. 24


Entry 3:
This entry pairs a crystal structure of KTa4BrO5 with its theoretical powder diffractogram. Radiation: Cu Kα, 1.54184 Å. Structure: a GGA-PBE-relaxed structure.

Cell: 4.1853 4.1853 9.3921 Å, 90.00 90.00 90.00°
Fractional positions:
K 0.0000 0.0000 0.0000
Ta 0.0000 0.5000 0.5000
Ta 0.5000 0.0000 0.5000
Ta 0.5000 0.5000 0.2898
Ta 0.5000 0.5000 0.7102
Br 0.5000 0.5000 0.0000
O 0.0000 0.0000 0.5000
O 0.0000 0.5000 0.2760
O 0.0000 0.5000 0.7240
O 0.5000 0.0000 0.2760
O 0.5000 0.0000 0.7240

Top 8 peaks for 10° ≤ 2θ ≤ 90°, by angle:
2θ = 21.23°, rel. 87; 2θ = 28.57°, rel. 49; 2θ = 31.70°, rel. 67; 2θ = 35.85°, rel. 100; 2θ = 38.33°, rel. 37; 2θ = 42.01°, rel. 95; 2θ = 43.23°, rel. 80; 2θ = 59.14°, rel. 40


Entry 4:
This entry pairs a crystal structure of HfZrAl2 with its theoretical powder diffractogram. Radiation: Cu Kα, 1.54184 Å. Structure: a GGA-PBE-relaxed structure.

Cell: 3.9184 3.9184 20.7154 Å, 90.00 90.00 90.00°
Fractional positions:
Hf 0.0000 0.0000 0.0000
Hf 0.0000 0.5000 0.2500
Hf 0.5000 0.0000 0.7500
Hf 0.5000 0.5000 0.5000
Zr 0.0000 0.0000 0.6054
Zr 0.0000 0.5000 0.8554
Zr 0.5000 0.0000 0.3554
Zr 0.5000 0.5000 0.1054
Al 0.0000 0.0000 0.1379
Al 0.0000 0.0000 0.4673
Al 0.0000 0.5000 0.3879
Al 0.0000 0.5000 0.7173
Al 0.5000 0.0000 0.2173
Al 0.5000 0.0000 0.8879
Al 0.5000 0.5000 0.6379
Al 0.5000 0.5000 0.9673

Top 8 peaks for 10° ≤ 2θ ≤ 90°, by angle:
+++
I bolted up. Wilder? What if it was him calling? Blocking his number is exactly what he’d do.
I scrambled to pick it up. “Hello? Wilder, is that you?”
“No, I’m afraid not.”
My hopeful smile melted off my face. “Who is this?”
“Can’t you guess? Who else would call you using a digitally altered voice?” said the machine I was speaking to.
Male or female—I couldn’t tell. The noise coming from my speaker sounded like words run through a garbage disposal.
“Hmm. That is a fair guess, but no. I’m much closer to home,” they said. “I heard you call me the Phantom.”
My limbs turned to lead.
“Who is this?” I rasped. “If you have the nerve to call me, then you have it to use your real voice. Who is this!”
~~~
# 1
Starting from a crystal structure in Alexandria, relaxed with GGA-PBE, the X-ray diffraction stick pattern of BeMo2Ru was calculated for Cu Kα X-rays.
No peak broadening, texture or thermal motion is included.

Most intense lines, 2θ = 5–70°, by angle:
| 2theta | I (rel.) | index |
| --- | --- | --- |
| 20.49 | 13 | 0 0 2 |
| 24.04 | 22 | 0 1 1 |
| 30.66 | 13 | 1 0 1 |
| 36.37 | 6 | 1 1 0 |
| 38.12 | 8 | 0 1 3 |
| 41.67 | 26 | 0 0 4 |
| 42.11 | 100 | 1 1 2 |
| 44.24 | 22 | 0 2 0 |
| 59.72 | 9 | 2 0 0 |
| 62.40 | 15 | 0 2 4 |

Structure:
```
data_BeMo2Ru
_symmetry_space_group_name_H-M 'I m m m'
_symmetry_Int_Tables_number 71
_symmetry_space_group_name_Hall '-I 2 2'
_cell_length_a 3.097
_cell_length_b 4.094
_cell_length_c 8.669
_cell_angle_alpha 90.00
_cell_angle_beta 90.00
_cell_angle_gamma 90.00
loop_
_atom_site_label
_atom_site_type_symbol
_atom_site_fract_x
_atom_site_fract_y
_atom_site_fract_z
Be1 Be 0.000 0.000 0.000
Mo1 Mo 0.000 0.500 0.252
Ru1 Ru 0.000 0.000 0.500
```



# 2
Starting from a crystal structure in Alexandria, relaxed with GGA-PBE, the X-ray diffraction stick pattern of Be2MoRu3 was calculated for Cu Kα X-rays.
No peak broadening, texture or thermal motion is included.

Most intense lines, 2θ = 5–70°, by angle:
| 2theta | I (rel.) | index |
| --- | --- | --- |
| 9.84 | 18 | 0 0 1 |
| 29.83 | 14 | 0 0 3 |
| 31.25 | 34 | 1 0 0 |
| 32.84 | 24 | 1 0 1 |
| 37.25 | 25 | 1 0 2 |
| 40.14 | 12 | 0 0 4 |
| 43.74 | 100 | 1 0 3 |
| 44.78 | 55 | 1 1 0 |
| 61.68 | 13 | 1 1 4 |
| 65.19 | 17 | 2 0 0 |

Structure:
```
data_Be2MoRu3
_symmetry_space_group_name_H-M 'P 4/m m m'
_symmetry_Int_Tables_number 123
_symmetry_space_group_name_Hall '-P 4 2'
_cell_length_a 2.862
_cell_length_b 2.862
_cell_length_c 8.987
_cell_angle_alpha 90.00
_cell_angle_beta 90.00
_cell_angle_gamma 90.00
loop_
_atom_site_label
_atom_site_type_symbol
_atom_site_fract_x
_atom_site_fract_y
_atom_site_fract_z
Be1 Be 0.000 0.000 0.147
Mo1 Mo 0.000 0.000 0.500
Ru1 Ru 0.500 0.500 0.000
Ru2 Ru 0.500 0.500 0.304
```
~~~
“Relax. We’ll get to that.” I couldn’t be certain, but they sounded... amused.
My nails pierced half-moons into my palm. When I found this bastard, I’d show them something funny.
“First, I wanted to thank you for taking care of Scott, Thasher, and Thompkins for me. I had to take care of Natale and Hill myself in the end, but even so, we made a good team.”
“What are you talking about?”
“I wanted them dead as much as you did. You’re supposed to do the date, accept your reward, and move on. Instead, those bastards tracked me down and have been blackmailing me ever since. You arriving on campus with all that hate in your heart was the best thing that could’ve happened.”
“Oh my— That’s why you didn’t come after me too. You wanted me around to clean up your loose ends. Then why the hell did you try to frame me for Giovanni’s murder?”
“No choice. No one told him to go shooting his coke-dusted mouth off. I had to act fast. The next thing I knew, I was standing beside two unconscious people. Taking the stun gun without me would’ve proved a third person was there, so I had to put it in your hand. The cops figured it out anyway but they’re clueless and so are you. No harm done.”
“No harm, huh?” My voice scraped from my throat. “There’s been plenty of harm, you fucking monster. Why did you d-do it? Why did you kill my sister!”
“That’s another topic we’ll get to,” they replied. “You want to know who I am. Find out what started all this. The truth is you never had to try this hard, Sinclair. I’m more than happy to tell you. Honestly, I was getting impatient waiting for you to finish all those shits off, so we could finally talk. There’s just one more thing you have to do for me first.”
Fury strangled me. “Do for you? I haven’t done anything for you, and I’m not starting now! Fuck’s sake, you’re sick. Even with that fake voice I can hear you’re enjoying this.”
“Of course I am. That’s what happens when you’re so close to getting everything you want. I bet Owen, Levi, Wesley, and the others thought you were sick too when you stood over them, smirking away over their last goodbye.”
My lips peeled back from my teeth. “Don’t ever compare me to you.”
“Why not? We’re more alike than you think. I’m willing to do whatever it takes for revenge, and so are you. There’s only one more thing you have to do to be in the same room as the person who took your precious sister from you. Are you really going to turn me down?”
“You’re going to ask me to do something I can’t. Cross a line that not even in my darkest moment I would cross,” I said. “I might as well tell you fuck no now.”